Data Guard :: Configuration Show Success Status With 2 Databases On Same (or Local) Location
Apr 9, 2013
I have recently configure Data guard with Database 10g ( bits) on Windows 2007 server.My Data Gurad Configuration show Success status with 2 databases on same (or local) location.My questions are
2- How to check the log applied interval or time (either transaction by transaction, timing etc)
SNRCTL> stat LISTENER Connecting to (DESCRIPTION=(ADDRESS=(PROTOCOL=IPC)(KEY=LISTENER))) STATUS of the LISTENER ------------------------ Alias LISTENER Version TNSLSNR for IBM/AIX RISC System/6000: Version - Production Start Date 19-JAN-2013 00:50:10 Uptime 0 days 0 hr. 29 min. 51 sec Trace Level off Security ON: Local OS Authentication [code]....
In every oracle documentation for e.g:11.2 Scan and Node TNS Listener Setup Examples [ID 1070607.1] we found the local listener status showing both local-ip and vip. Why is not showing in our case?
I tried a Data Guard setup on Oracle Databases (version, on RHEL)
Primary Database is db5 Standby Database is db6
By the time I created standby database, 3 archivelogs (sequence 11,12,13) were generated on primary which I copied over to standby database server
Now while querying v$archive_gap on the primary database these archivelogs aren't listed However at the same time querying v$archived_log on either Primary or Standby Database also does not list them
1) In such case do I need to register these archivelogs on standby database? Or else do I catalog these archivelogs on standby database?
Also as soon as standby database is started in recovery mode as a part of setup, 1 archivelog (sequence 14) was shown on standby
Now this archivelog has different path than the archivelogs generated later (sequence 15, 16)and v$archived_log shows it is generated as a part of FAL request (FAL=YES)
Question are
1) why it was FALed while redo apply services were active?
2) why this particular archivelog only which is part of FAL request is generated at different location
Does it generate at standby_archive_dest rather than FRA when FAL=YES?
3) why subsequent archivelogs are not part of FAL request or FAL request wasn't needed for subsequent archivelogs?
tell me about data guard accommodate with 11g database standard additions or not if no,is there any way to make it working under this edition?one more thing may i have the steps of configuration data guard in real time for anew server.
I'm using oracle on windows 2003. I've implemented physical stanby and it was working fine until last week. No problem on primary DB. Archived logs are sent normally to standby. And standby DB is also able to apply the archived logs coming from primary. I've already check data on standby DB after opening it with READ ONLY option : data are exported normally and I can read them.
The issue is the status of logs in view v$log on standby database.
select group#,status from v$log; group# status 1 clearing_current 2 clearing 3 clearing
I've tried this :
On standby DB :
SQL> RECOVER MANAGED STANDBY DATABASE CANCEL; Media recovery complete. SQL> alter database open read only;
complete. SQL> alter database clear logfile group 1; Database altered. SQL> alter database clear logfile group 2; Database altered. SQL> alter database clear logfile group 3; Database altered.
just realised the data guard configuration seems to be workin but the error kepps appearing on the alert log of both primary and physical standby that i configured. below is my primary and standby pfiles.
System altered.
System altered.
Database altered.
SQL> recover managed standby database cancel; Media recovery complete. SQL> alter database open read only; alter database open read only * ERROR at line 1: ORA-16004: backup database requires recovery ORA-01152: file 1 was not restored from a sufficiently old backup ORA-01110: data file 1: '/u002/app/OraDB10g/stdemo/oradata/system01.dbf'
- Oracle - RHEL 4.6 64 bits - Active Data Guard - Broker configured - DBconsole configured on primary server
Now, I have server PRIM with the primary database, and server STB with the standby server. For now, the dbconsole is configured in the PRIM server.When I do a switchover (to the standby on STB), EM is not configured, so I use to clean the sysman user, and I use emca to recreate the dbconsole. After this, everything works.
Once I switch back, the EM is no longer configured on PRIM, so I repeat the previous steps (repManager and emca). Everything is ok after this. I can access the EM on the primary normaly, and this gets information from the broker to provide basic information on the STB (like db status, apply, and so forth).
For the maximum protection and maximum availability as well as to enable Real Time Apply we need to setup the standby redo log group. My question is what would be the standby redo log group configuration in case if we setup single instance standby database for 2-Node RAC primary database. Do we require a separate standby redo thread for each primary online redo thread or RFS use the Multiple Standby redo group from the same thread to receive the redo changes from both the node ?
I did standby before and it works wighout any disturbations and even configuration seems to me not very complicated - but it was before. now i am trying to do standby configuration once again. there is database named DESK.
two physical serwers: sczepl-db07 - primary r00979 - standby
on each for this serwer there is listener listening on port 1521, and on each is tnsnames configured properly:
I have one primary database server and one physical standby database serve. but i am unable to fix "ORA-16607" while enabling configuration. during log switch redo data is being applied to the phy standby side but some thing wrong happens in BROKER
here are details........about my configuration
Primary database name PRIM Physical Database Name STAN net service PRIM net service STAN
DGMGRL> show configuration
Configuration Name: test Enabled: YES Protection Mode: MaxPerformance Fast-Start Failover: DISABLED Databases: prim - Primary database stan - Physical standby database
Current status for "test": Warning: ORA-16607: one or more databases have failed
====================================================== Alert log file First para show no problem for for redo to be transmitted to stndby ====================================================== LNS1 started with pid=48, OS id=5408 Thu Sep 21 21:32:03 2006 Thread 1 advanced to log sequence 59 Current log# 1 seq# 59 mem# 0: /u01/app/oracle/oradata/PRIM/redo01.log
We have a request to configure data guard for databases on the production server. Here is my situation:
We have a backup strategy in place where the backups are being taken on a regular basis. Archive logs are deleted as soon as they are backed up.
My question now is , is there a way of configuring the Data guard in such a way that there would be no change to existing backup strategy (RMAN) and still duplicate the archive logs to another destination and not delete the archive logs by RMAN backup process on that destination while the first destination is deleted.
We will be deleting the logs in the second archive destination using a script which checks if the logs were applied.
I have one primary database and one physical standby database on my data guard environment.
Now i want one more physical standby database in my data guard environment, meaning i want 2 physical standby. since this is a production environment, i need to take great care. However, downtime will be mandatory.
[u]init.ora for production:[/u]
pup2.__db_cache_size=6241124352 pup2.__java_pool_size=33554432 pup2.__large_pool_size=134217728 pup2.__oracle_base='/oracle/app/oracle'#ORACLE_BASE set from environment pup2.__pga_aggregate_target=5771362304 [code]......
init.ora for my first primary standby
pup2.__db_cache_size=6509559808 pup2.__java_pool_size=33554432 pup2.__large_pool_size=67108864 pup2.__oracle_base='/oracle/app/oracle'#ORACLE_BASE set from environment pup2.__pga_aggregate_target=5502926848 [code].......
I have created dataguard between two instances hosted in two different servers. I have done switchover from primary to standby & then again standby to primary with DGMGRL utility.
1- When I done switchover to primary & trying to open standby database in readonly mode it was giving below error-
ORA-01154: database busy. Open, close, mount, and dismount not allowed now
Why this error was coming ?
2- As I was not able to open standby database in read only mode, I have executed below command-
[1]
CuAs2C | the Alexandria database | PBEsol | optimized geometry; symmetry = I-42d; total magnetic moment = 0.0 Bohr magnetons per cell; formation enthalpy at 0 K = 0.55 eV per atom; crystal system = tetragonal
1.0
-2.5715 2.5715 4.6929
2.5715 -2.5715 4.6929
2.5715 2.5715 -4.6929
Cu As C
2 4 2
Direct
0.0000 0.0000 0.0000
0.7500 0.2500 0.5000
0.1713 0.1250 0.5463
0.3750 0.8287 0.9537
0.5787 0.6250 0.4537
0.8750 0.4213 0.0463
0.2500 0.7500 0.5000
0.5000 0.5000 0.0000

[2]
CeNi3 | the Alexandria database | PBEsol | optimized geometry; symmetry = P6_3/mmc; total magnetic moment = 0.0 Bohr magnetons per cell; formation enthalpy at 0 K = -0.30 eV per atom; crystal system = hexagonal
1.0
5.3007 0.0000 0.0000
-2.6504 4.5905 0.0000
0.0000 0.0000 4.5399
Ce Ni
2 6
Direct
0.3333 0.6667 0.2500
0.6667 0.3333 0.7500
0.1550 0.3100 0.7500
0.1550 0.8450 0.7500
0.3100 0.1550 0.2500
0.6900 0.8450 0.7500
0.8450 0.1550 0.2500
0.8450 0.6900 0.2500

[3]
MgAg3 | the Alexandria database | PBEsol | optimized geometry; symmetry = C2; total magnetic moment = 0.0 Bohr magnetons per cell; formation enthalpy at 0 K = -0.12 eV per atom; crystal system = monoclinic
1.0
4.8917 -2.4202 0.0000
4.8917 2.4202 0.0000
-0.9263 0.0000 2.8846
Mg Ag
1 3
Direct
0.0000 0.0000 0.0000
0.1153 0.3864 0.7508
0.5045 0.4955 0.5000
0.6136 0.8847 0.2492

[4]
CoPt2Pb | the Alexandria database | PBEsol | optimized geometry; symmetry = I-4m2; total magnetic moment = 1.5 Bohr magnetons per cell; formation enthalpy at 0 K = 0.18 eV per atom; crystal system = tetragonal
1.0
-2.0303 2.0303 3.8205
2.0303 -2.0303 3.8205
2.0303 2.0303 -3.8205
Co Pt Pb
1 2 1
Direct
0.0000 0.0000 0.0000
0.2500 0.7500 0.5000
0.5000 0.5000 0.0000
0.7500 0.2500 0.5000

[5]
ScMnBi2Se | the Alexandria database | PBEsol | optimized geometry; energy relative to the elements, uncorrected = 0.4191 eV per atom; symmetry = P4/mmm; total magnetic moment = 4.7 Bohr magnetons per cell; crystal system = tetragonal
1.0
5.5596 0.0000 0.0000
0.0000 5.5596 0.0000
0.0000 0.0000 4.9266
Sc Mn Bi Se
1 1 2 1
Direct
0.0000 0.0000 0.0000
0.5000 0.5000 0.5000
0.0000 0.5000 0.0000
0.5000 0.0000 0.0000
0.0000 0.0000 0.5000

[6]
TaZn2 | the Alexandria database | PBEsol | optimized geometry; symmetry = Immm; total magnetic moment = 0.0 Bohr magnetons per cell; formation enthalpy at 0 K = 0.49 eV per atom; crystal system = orthorhombic
1.0
-1.3576 2.4673 3.6390
1.3576 -2.4673 3.6390
1.3576 2.4673 -3.6390
Ta Zn
1 2
Direct
0.0000 0.0000 0.0000
0.3286 0.8286 0.5000
0.6714 0.1714 0.5000

[7]
Li2ZrCl2 | the Alexandria database | PBEsol | optimized geometry; energy relative to the elements, uncorrected = -0.3878 eV per atom; symmetry = P4/mbm; total magnetic moment = 5.9 Bohr magnetons per cell; crystal system = tetragonal
1.0
7.6979 0.0000 0.0000
0.0000 7.6979 0.0000
0.0000 0.0000 3.1418
Li Zr Cl
4 2 4
Direct
0.1265 0.3735 0.0000
0.3735 0.8735 0.0000
0.6265 0.1265 0.0000
0.8735 0.6265 0.0000
0.0000 0.0000 0.0000
0.5000 0.5000 0.0000
0.1552 0.6552 0.5000
alter database recover managed standby database disconnect from session;
which return an error as-
ORA-01153: an incompatible media recovery is active
After this I have executed-
alter database recover managed standby database cancel;
which executed successfully.
& then after standby database open in read only mode.
Why above error was coming ?
3- After this I had tried to check the checkpoint_change# & controlfile_change# from primary database and result shows both number were different.
Is it possible to detect the status of Hide / Show Region.
I have three hide/show regions RX,RY,RZ. When an event EX happens, then region RX should expand and the rest of the region should collapse. When an event EY happens, then region RY should expand and the rest of the region should collapse. ........ ... We can use this JS on DA to change the status of a region:
I Have configured the replication between two database's at table level. After few miniuts of successful configuration of replication between two db's at table level, I am getting the ORA-00001: unique constraint (%s_PK) violated error in dba_apply_error.
I checked constraint name,type and status on table replicated is same on both source and destination db.
We have physical data guard configured version ( We are in need to upgrade primary & standby database to 11G R2. Can we perform rolling upgrade.
We have taken export expdp backup from prod database (primary database- Data Guard).
1.) Import impdp is very slow 10GB/Hrs on staging database (Data Guard MAXIMUM AVAILBILITY)Since Server configuration, database version and configuration, operating system everything are same as production. No blocking, locking or waiting sessions
2.)import impdp is fast 90GB/Hrs on Test standalone database and this test database is running in NOARCHIVE LOG mode with oracle standard version after that no more difference.
CPU,Memory,network and disk I/O are look normal while importing on both databases.why that much difference on import.
i m just trying to create materialized view but cant success.
conn sys user sql > alter system set optimizer_mode = all_rows; alter system set job_queue_processes = 1; alter system set query_rewrite_enabled = true; alter system set query_rewrite_integrity = enforced;
step 2> grant query rewrite to scott; grant create materialized view to scott; alter session set query_rewrite_enabled = true; [code]...
ERROR at line 6: ORA-00933: SQL command not properly ended
I have the task to migrate the total databases(Exact copy to be moved to another server).The current server is going for format.After I did the following steps I am getting the tablespaces(databases)-4 sizes same ,but I am facing issue like some default tablespaces i.e temp,system are not matching.
temp tablespace *************** current server - 4.0(approximately) Migrating server - 160 MB
System tablespace ***************** current server - 580 MB Migrating server - 220 MB
Also I checked the tables are also matching for the 4 databases.Also Provide the solution or method which is correct.
steps done for migrating(By me) ******************************** EXPORTING DATA USING DATAPUMP *********************************
1 From command prompt MKDIR 'c:oraclexeapp mp';
2 From SQL prompt conn system/kotak;
3 create or replace directory dmpdir as 'c:oraclexeapp mp';
4 grant read,write on directory dmpdir to kotak;
5 From command prompt
expdp system/kotak@xe full=Y directory=dmpdir dumpfile=xe.dmp logfile=expdpxe.log; IMPORTING DATA USING DATAPUMP ***************************** in another server machine
1 From SQL prompt conn system/kotak;
2 create or replace directory dmpdir as 'c:oraclexeapp mp';
I need any good suggestion basically I have two different location
1- Factory 2- Head office
I have developed PRODUCTION module in factory and it is working fine and now I want to send data on daily basis to head office therefore I develop a form which will create backup in export format (.dmp) then user will send via email to head office.
Backup file should be save in pre-defined location then user will use a form which I developed for loading data into head office there are two different buttons in this form;
First is used to load data, actually first I load data in a temporary user which creates whenever user will press this button. Second is used to copy data in application user but first it checks if data exists then update otherwise insert.
I am trying to backup my entire database's files :
[oracle@testing-oracle-1 ~]$ rman target / Recovery Manager: Release - Production on Mon Jun 24 16:09:54 2013 Copyright (c) 1982, 2009, Oracle and/or its affiliates. All rights reserved. connected to target database: ORCL (DBID=1341263457) RMAN> list backup;
using target database control file instead of recovery catalog specification does not match any backup in the repository
RMAN> CONFIGURE CONTROLFILE AUTOBACKUP ON; new RMAN configuration parameters: CONFIGURE CONTROLFILE AUTOBACKUP ON; new RMAN configuration parameters are successfully stored RMAN> CONFIGURE CONTROLFILE AUTOBACKUP FORMAT FOR DEVICE TYPE DISK TO '/u01/app/oracle/backupsets/control_files/cf_%F.BCKP';2>
I see that a backup set was created to "/u01/app/oracle/flash_recovery_area/ORCL/backupset/2013_06_24/" , in spite of my specification.
So I asked RMAN to list all the backups I have:
RMAN> list backup;
List of Backup Sets =================== BS Key Size Device Type Elapsed Time Completion Time ------- ---------- ----------- ------------ --------------- 1 41.14M DISK 00:00:00 24-JUN-13 BP Key: 1 Status: AVAILABLE Compressed: NO Tag: TAG20130624T161025 Piece Name: /u01/app/oracle/backupsets/818957425_1_%r.BCKP
Here I see that 4 backup sets have been created.The backup sets 1 & 3 containing the archived redo logs (818957425_1_%r.BCKP and 818957451_3_%r.BCKP) are placed as I wanted in /u01/app/oracle/backupsets/ dir.
The file containing the Control File and Spfile (cf_c-1341263457-20130624-00.BCKP) is placed as I wanted in /u01/app/oracle/backupsets/control_files/ dir.However, The backup set file containing the data files(o1_mf_nnnd0_TAG20130624T161026_8wjkb2tg_.bkp) is placed under the directory /u01/app/oracle/flash_recovery_area/ORCL/backupset/2013_06_24/ ,and I don't understand why.
When I backup my database without the archived redo logs - it is saved correctly:
RMAN> RMAN> delete backup; using channel ORA_DISK_1 List of Backup Pieces BP Key BS Key Pc# Cp# Status Device Type Piece Name
1. Why aren't my data files backed up to the location I specified when I backup using PLUS ARCHIVELOG syntax?
2. Why are my redo logs saved to two different backup sets and not just one?
3. Is there a way to combine backup of all files (data files, control file, spfile, redo logs & arch redo's) in one backup set, one file?
By clicking on a button on my page, I execute a Dynamic Action. That Dynamic Action consists of several True Actions, one of which is Execute PL/SQL code where I execute a procedure. I'm doing this without submitting the page, and that works fine.
However, I would like to display an error message on the top of the page, in case my procedure returns an error, and I would like to do that without submitting the page.
I was wondering if there is any way to know in which Tablespace and Datafile my Table is located. I have exported a table and about to delete it as i am partitioning it.
I have a requirement like, I received .dat files and placed in my local directory and there is a process/method where this data which is there in .dat file will insert into my oracle external tables?Any link of the example with clear steps?